iOS Files App Registration with file types - ios

I store video files in the Documents folder of my app. I need to present an option that enables users to copy video files from Documents folder to iOS Files app. I also want to automatically have a folder for my app in iOS files app (as seen in the screenshot).
I tried registering Document type "" (screenshot 2) but didn't help.
Wondering how to achieve it.

## Inserted here: calculated molecules
-- begin --
Below is a cluster of 2 separate species, C3H11NS2 in total, with properties calculated with ωB97M-V/def2-TZVPD.

XYZ file:
```
17
Properties=species:S:1:pos:R:3
C -3.1481 -0.2606 -2.2028
S -3.9085 0.2320 -0.6524
S -2.3910 1.3579 0.1941
H -2.4566 -1.0752 -2.0618
H -2.6872 0.5800 -2.7171
H -3.9364 -0.6345 -2.8654
H -2.2879 0.7436 1.3792
C 3.0828 0.5398 0.6016
N 1.8136 0.4499 1.3065
C 1.2541 -0.8694 1.2435
H 3.8943 0.0892 1.1733
H 3.0377 -0.0586 -0.3271
H 3.3147 1.5710 0.3537
H 1.1914 1.1437 0.9131
H 1.0540 -1.2691 0.2372
H 0.2583 -0.9737 1.6618
H 1.9148 -1.5661 1.7626
```

Properties
**Net charge**: 0
**LUMO level**: 0.5147 eV
**Spin multiplicity**: 1
**SMILES**: CNC.CSS


Below is a structure of composition C3H11NSi at a distorted geometry, with properties calculated with ωB97M-V/def2-TZVPD.

XYZ file:
```
16
Properties=species:S:1:pos:R:3
C 1.2417 -0.7577 -1.2476
C 1.7817 0.8273 0.5048
C -2.3449 0.1760 -0.1449
N 0.8244 0.3046 -0.4708
Si -0.7915 0.8976 -0.4478
H 1.7661 -0.5636 -2.1833
H 1.8431 -1.5795 -0.5965
H 0.3451 -1.2992 -1.5742
H 2.2908 0.0582 0.9671
H 2.5598 1.4954 0.1028
H 1.2129 1.2748 1.3331
H -3.2620 0.7467 -0.0801
H -2.5418 -0.7740 0.3644
H -0.9405 0.5227 2.6651
H -0.7635 2.3623 -0.8571
H -0.5784 0.6601 3.3502
```

Properties
**Net charge**: 0
**LUMO level**: 0.8607 eV
**Spin multiplicity**: 1


Below is a cluster of 3 separate species, C3H11O2S in total at a distorted geometry, with properties calculated with ωB97M-V/def2-TZVPD.

XYZ file:
```
17
Properties=species:S:1:pos:R:3
C -1.4226 0.3838 -0.8427
C -0.1203 0.6540 -1.6036
C 0.6250 1.8654 -0.9947
S 2.1570 1.4344 -0.1250
H -2.1245 1.1983 -1.0341
H -1.9189 -0.5313 -1.1709
H -1.3066 0.3152 0.2269
H -0.4108 0.8206 -2.6418
H 0.5867 -0.1684 -1.4824
H 0.8188 2.5963 -1.7859
H -0.0396 2.3898 -0.2980
H 0.2001 -2.9400 2.0359
H -1.1691 -2.4836 1.7096
O -0.6144 -3.2708 1.6147
H 1.1527 -0.1051 2.0425
H 2.2116 -1.1714 1.9548
O 1.3748 -0.9873 2.3945
```

Properties
**Net charge**: -1
**LUMO level**: 3.8011 eV
**Spin multiplicity**: 1


Below is a cluster of 3 separate species, C3H11O3S2 in total at a distorted geometry, with properties calculated with ωB97M-V/def2-TZVPD.

XYZ file:
```
19
Properties=species:S:1:pos:R:3
C -0.6506 1.3915 0.6719
C 0.3207 0.4679 1.3690
O -0.4076 -0.3999 2.2226
C -1.5329 0.7446 -0.4652
S -0.7479 0.8288 -2.0689
S 0.4658 -0.8810 -2.0939
H -0.2153 2.2534 0.1611
H -1.3048 1.8029 1.4639
H 0.9669 0.0520 0.5763
H 0.9886 1.0160 2.0418
H -2.5596 1.1169 -0.4635
H -1.4897 -0.3405 -0.2877
H -1.0432 -3.4139 0.0155
H -0.3136 -2.3426 -0.5426
H -0.5098 -1.2773 1.8357
O -0.4347 -2.7408 0.3691
H 2.2995 -0.0126 -1.5813
H 3.0309 1.2594 -1.8939
O 3.1372 0.4753 -1.3298
```

Properties
**Net charge**: -1
**LUMO level**: 3.4938 eV
**Spin multiplicity**: 1


Below is a cluster of 4 separate species, C3H11O4S in total at a distorted geometry, with properties calculated with ωB97M-V/def2-TZVPD.

XYZ file:
```
19
Properties=species:S:1:pos:R:3
O -2.1134 -0.4468 -0.7759
C -1.2877 -0.6301 0.0690
-- stop --


How to share a folder from Files app on iOS?

I can share a file from any application with my own application just by adding proper document type to my application .plist file. For example "public.image" document type enables images sharing.
But how can I share a folder from Files app with my application? I see that a folder also can be shared:
If to press "Share" then one can see that there are several apps which accept this folder as a sharing source. But my application is not in this list: it can accept single files but not folders. I have to note that this folder contains only files which are accepted by my application.
How to enable iOS application to accept folders using "Share" from Files app?

How to Save video file to iOS Files App using UIDocumentInteractionController

I want to write one or multiple mov/mp4 files to iOS Files App but can not find how to do it with UIDocumentInteractionController. Looking for a sample code to copy files to a subfolder of my app in iOS files app using UIDocumentInteractionController. See sample screenshot to understand what I want.
You will first need to create a File Provider extension for your app if you are storing the files remotely.
If they are only being stored locally on device you can achieve this by (in the Info.plist) either setting the UISupportsDocumentBrowser key, or by setting bother the UIFileSharingEnabled and LSSupportsOpeningDocumentsInPlace keys.
As explained in this documentation:
These keys enable other apps to open and edit the contents of your Documents directory in place. Your files also appear in both the Files app and the document browser. For more information, see the UIDocumentBrowserViewController class.

-- Calculated molecules that have nothing to do with the piece --
1.
Here is a 3-piece molecular cluster, C3H7NO2 overall from the OMol25 dataset. Energies are from the ωB97M-V functional and the def2-TZVPD basis.

Structure (XYZ):
```
13
C3H7NO2, DFT the ωB97M-V functional and the def2-TZVPD basis
O -0.876 -2.260 0.236
O 2.466 0.359 0.603
N -1.931 -1.374 -0.006
C -1.582 -0.191 -0.103
C -1.377 1.092 -0.237
C 1.677 -0.550 0.524
H 1.189 -0.987 1.416
H 1.288 2.542 -1.231
H 1.689 2.077 -0.809
H -1.168 1.518 -1.213
H -1.334 -3.110 0.267
H -1.406 1.753 0.624
H 1.390 -1.011 -0.441
```

SMILES string = C=C=NO.[H][H].C=O
ΔE to the lowest compared entry with this formula, charge and spin = 134.5 kcal per mole
E_HOMO = -9.99 eV

Taken from the natural (NBO) analysis, the atomic charges in e are: number 1, O, carries -0.56; number 2, O, carries -0.51; number 3, N, carries -0.18; number 4, C, carries 0.30; number 5, C, carries -0.53; number 6, C, carries 0.28; number 7, H, carries 0.12; number 8, H, carries -0.03; number 9, H, carries 0.03; number 10, H, carries 0.24; number 11, H, carries 0.48; number 12, H, carries 0.24; number 13, H, carries 0.12

=====

2.
Here is a 11-piece molecular cluster, C31H88B2NO16Si overall from the OMol25 dataset. Energies are from the ωB97M-V functional and the def2-TZVPD basis.

Structure (XYZ):
```
139
C31H88B2NO16Si, DFT the ωB97M-V functional and the def2-TZVPD basis
Si -2.722 -4.752 -0.162
O -3.507 -3.566 -1.194
O 1.854 -7.143 7.876
O -0.045 0.042 -1.932
O 4.443 4.514 -1.168
O -3.370 5.046 -0.445
O 4.587 -1.000 3.781
O -4.259 3.128 -3.386
O 0.360 4.889 -8.666
O 0.301 -1.024 0.081
O -1.403 2.050 -0.365
O 4.976 -1.783 -0.087
O -0.057 3.815 -3.035
O -2.375 0.408 1.297
O -1.312 -6.363 3.627
O -5.433 1.659 1.453
O 4.724 5.264 2.442
N 1.989 1.743 -0.378
C -3.877 -5.451 1.252
C 4.199 -4.164 -0.177
C -4.777 3.170 3.205
C -0.788 -5.468 4.598
C 2.598 0.385 -0.110
C -0.077 3.708 -4.451
C -1.133 -4.098 0.743
C -1.713 -1.704 -1.600
C 2.860 -7.711 7.050
C 3.358 3.350 2.945
C -1.426 4.144 -4.984
C 5.373 -2.130 4.131
C 2.393 -2.250 0.038
C -5.017 2.991 1.720
C 1.779 4.896 -8.720
C -3.085 -2.175 -0.823
C -5.547 2.559 -3.197
C 4.423 4.406 -2.583
C 2.336 5.739 -7.592
C -2.132 -6.327 -1.175
C -5.420 1.198 -2.544
C 1.665 -0.895 -0.530
C 3.405 4.855 2.774
C -3.803 6.278 -1.003
C -0.986 -6.038 5.987
C 1.183 -0.805 -2.095
C -5.177 6.112 -1.619
C 3.074 4.842 -3.116
C 3.849 -2.593 -0.632
C 4.486 -3.346 4.298
C 2.241 -8.710 6.094
B -0.815 -0.584 -0.799
B -1.560 0.615 0.063
H 1.684 -3.159 -0.192
H 5.218 5.043 -2.985
H -2.049 -6.204 6.190
H 3.201 -4.805 -0.074
H -3.753 2.525 -3.956
H -0.584 -5.362 6.747
H 1.142 1.935 0.200
H -1.006 -2.605 -1.874
H 1.435 -7.869 8.369
H -4.858 -5.913 0.800
H -6.129 3.235 -2.564
H 0.718 4.344 -4.852
H -4.013 2.470 3.558
H -5.790 3.678 1.362
H -1.639 5.178 -4.692
H -4.099 3.181 1.158
H 4.969 4.820 1.612
H -1.907 -7.199 -0.398
H -1.331 -3.036 1.205
H -5.689 2.958 3.773
H 3.740 3.939 -0.820
H -5.899 5.778 -0.865
H -2.259 -6.477 3.815
H -3.040 -6.707 -1.821
H -3.242 -6.324 1.762

How do you process multiple files shared from the iOS Files App

I have an app that can open files shared with it. If I select multiple files in the iOS Files app and share them with my app, my UIApplicationDelegate's open url handler is called once with the URL of the first file. The remaining files are not reported to my delegate. Does anyone know how to get the obtain the URLs of all the shared files?
I need a solution for iOS 11 and above.

Save files in special folder

I created application (Swift 4.2), 1st user sends URLs to 2nd user:
Second user should download and save files in folder at his device.
How can I download files and save them in "Files" folder?
Can I create "MyApplication" folder automatically and save files
inside this folder?
I think what you want is a Document-Based App. In this case, you must add and set UISupportsDocumentBrowser key to YES in your Info.plist file, then ALL your folders and files in your App Document Folder will be exposed here. When you open Files app, your App's documents will be at On My iPhone -> YOUR_APPLICATION_NAME
Hope this helps.
First Question:
You can download them on your pc and then transmit them to your iPad with apps like iFiles, which can be installed from Appstore.
Second Question:
To download files directly and save in your own folder is not permitted on iPad for the intentional restrict of Apple.

How to choose files from iPhone?

In my app I have to upload files to server.
For that I need to view and choose files from my iPhone and iPad. (any kind of files i.e pdf , doc,dock , mp3 etc etc).
How can I get the path for these files and how can I choose them in my application.
Generally in iPhone Where are these files are stored? how we can fetch them in our application?
Is there any thing like UIImagePickerController to pick file from iPhone?
There are classes that allow you to interact with various media types that may be on an iOS based device.
As you mention UIImagePickerController.
For music, you can use a similar class: MPMediaPickerControllerDelegate.
With regard to other arbitrary documents;
There is no device-wide document store, and you cannot access files stored inside another app's app bundle, thus you cannot access saved PDF/doc files. There is no shared place for the user to save such PDFs in the first place. Which is why media libraries have specific APIs to access them because they are device-wide libraries.
The most you can do is register your app as a viewer of PDF documents. This would allow other apps to open a PDF in your app if they use a UIDocumentInteractionController.
Your best option is probably to use File Sharing which will allow your application to own files on the device which can be synced via iTunes.
This will enable you to create your own UI, to present these files from your applications document folder.
Further reading: iOS File System Basics, File System Programming Guide.
